Monday, February 18, 2019

February News

Carney’s Crew Class News and Updates  
February 18, 2018  

Dear Families,

Happy snowy Monday! I hope you enjoyed your weekend. It’s hard to believe that we are only a week away from February break!

Here are some updates from the classroom:

We are in the middle of unit 5 and are learning about adding and subtracting fractions and mixed numbers with like denominators.  We are halfway through unit 5, so we will take the first part of our math test this Friday and then we will take the second part of the math test in early March when we return from break.  Students who will be absent this Friday will take their test on Thursday.

In reading, students are exploring informational texts and are working to identify the topic, main idea and supporting details. We have been using the website for some of our informational texts.  Students have logins for this website and can access from home.  Login information is on their password card in their google drive.  They know how to access all of this!

Data records from another source follow =
********
Record 1
For Y6IrRh3, a crystal structure in Alexandria, relaxed with GGA-PBE gives the calculated powder XRD pattern in this record (a wavelength of 1.5418 Å).

Principal peaks in the range 10° ≤ 2θ ≤ 90°, sorted by position:
2theta, Rel. int., index
14.74, 11, 0 2 0
21.51, 14, 2 0 0
31.09, 28, 1 3 1
36.99, 76, 1 4 1
37.72, 100, 0 0 2
43.55, 12, 2 5 0
53.86, 25, 4 4 0
66.16, 12, 2 8 0
67.62, 25, 4 4 2
68.10, 17, 3 0 3

Cell and atoms:
abc: 8.2557 12.0236 4.7725
angles: 90.00 90.00 90.00
Space group Pnnm (No. 58)
Unique sites:
Y: 0.0012 0.2458 0.0000 (multiplicity 4)
Y: 0.1614 0.4119 0.5000 (multiplicity 4)
Y: 0.1712 0.0804 0.5000 (multiplicity 4)
Ir: 0.0000 0.5000 0.0000 (multiplicity 2)
Rh: 0.0000 0.0000 0.0000 (multiplicity 2)
Rh: 0.1651 0.8367 0.5000 (multiplicity 4)

=====

Record 2
For Y3IrRh2, a crystal structure in Alexandria, relaxed with GGA-PBE gives the calculated powder XRD pattern in this record (a wavelength of 1.5418 Å).

Principal peaks in the range 10° ≤ 2θ ≤ 90°, sorted by position:
2theta, Rel. int., index
22.40, 4, 1 0 1
25.93, 5, 0 1 2
36.99, 100, 1 1 0
43.68, 2, 0 1 5
53.31, 17, 0 2 4
60.21, 2, 1 2 2
66.63, 26, 3 0 0
66.76, 9, 0 1 8
78.69, 5, 2 2 0
78.84, 5, 2 0 8

Cell and atoms:
abc: 4.8639 4.8639 11.8865
angles: 90.00 90.00 120.00
Space group P-3m1 (No. 164)
Unique sites:
Y: 0.0000 0.0000 0.2490 (multiplicity 2)
Y: 0.3333 0.6667 0.4156 (multiplicity 2)
Y: 0.3333 0.6667 0.9168 (multiplicity 2)
Ir: 0.3333 0.6667 0.1664 (multiplicity 2)
Rh: 0.0000 0.0000 0.0000 (multiplicity 1)
Rh: 0.0000 0.0000 0.5000 (multiplicity 1)
Rh: 0.3333 0.6667 0.6650 (multiplicity 2)

=====

Record 3
For ZnIr2Rh6, a crystal structure in Alexandria, relaxed with GGA-PBE gives the calculated powder XRD pattern in this record (a wavelength of 1.5418 Å).

Principal peaks in the range 10° ≤ 2θ ≤ 90°, sorted by position:
2theta, Rel. int., index
17.85, 36, 0 1 1
28.93, 27, 1 1 0
40.32, 100, 1 0 5
42.00, 85, 1 2 1
42.85, 26, 0 2 4
48.05, 31, 2 0 0
52.45, 30, 0 2 6
73.86, 21, 2 2 6
84.77, 22, 1 4 5
89.97, 16, 1 2 11

Cell and atoms:
abc: 3.7874 5.3224 13.8601
angles: 90.00 90.00 90.00
Space group Imm2 (No. 44)
Unique sites:
Zn: 0.0000 0.0000 0.0000 (multiplicity 2)
Ir: 0.0000 0.5000 0.8050 (multiplicity 2)
Ir: 0.0000 0.5000 0.9980 (multiplicity 2)
Rh: 0.0000 0.2566 0.4014 (multiplicity 4)
Rh: 0.0000 0.2580 0.5977 (multiplicity 4)
Rh: 0.0000 0.2708 0.2156 (multiplicity 4)

=====

Record 4
For ZnIr2Rh6, a crystal structure in Alexandria, relaxed with GGA-PBE gives the calculated powder XRD pattern in this record (a wavelength of 1.5418 Å).

Principal peaks in the range 10° ≤ 2θ ≤ 90°, sorted by position:
2theta, Rel. int., index
40.64, 100, 1 1 -3
47.07, 16, 2 0 3
47.24, 16, 0 2 0
47.52, 16, 4 0 -3
68.89, 10, 2 2 3
69.25, 10, 4 2 -3
83.04, 12, 1 1 6
83.30, 12, 1 3 -3
83.71, 12, 5 1 -6
87.97, 11, 2 2 -6

Cell and atoms:
abc: 8.5725 3.8483 8.1545
angles: 90.00 107.97 90.00
Space group C2/m (No. 12)
Unique sites:
Zn: 0.0000 0.0000 0.0000 (multiplicity 2)
********
Back to the article =

Students have been working so hard on their informational writing pieces.  We are working to publish our writing today and will have our author’s celebration tomorrow afternoon during our writing time.  Students will share their writing with you at conferences after break. Information about our next big writing project will be coming home in Friday folders!

# Misplaced crystal structures
........
This entry pairs a crystal structure of AgPt with its calculated PXRD pattern. Radiation: Cu Ka. Structure: a PBE-relaxed structure.

Structural model:
```
data_AgPt
_cell_length_a 4.4687
_cell_length_b 4.4687
_cell_length_c 8.4296
_cell_angle_alpha 90.00
_cell_angle_beta 90.00
_cell_angle_gamma 120.00
_symmetry_space_group_name_H-M 'P 63/m m c'
_symmetry_Int_Tables_number 194
_symmetry_space_group_name_Hall '-P 6c 2c'
loop_
_atom_site_label
_atom_site_fract_x
_atom_site_fract_y
_atom_site_fract_z
Ag1 0.3333 0.6667 0.0814
Pt1 0.0000 0.0000 0.2500
Pt2 0.3333 0.6667 0.7500
```

Largest 6 diffraction maxima, in order of falling intensity, 2θ = 10–90°:
40.37°, intensity 100, (1 1 0); 39.64°, intensity 74, (1 0 3); 21.08°, intensity 33, (0 0 2); 45.97°, intensity 27, (1 1 2); 80.81°, intensity 26, (1 1 6); 31.38°, intensity 26, (1 0 2)

----------

# 1
Starting from a DFT-relaxed cell (GGA-PBE, Alexandria), the PXRD pattern of DyPuIr was simulated for CuKα.
Lines closer than 0.1° are merged.

Structural model:
Cell: 4.6540 12.3954 7.2713 Å, 90.00 90.00 90.00°
Space group Amm2 (No. 38)
Inequivalent atoms, fractional coordinates:
Dy 0.0000 0.0000 0.0000 x2
Dy 0.0000 0.2109 0.3671 x4
Pu 0.5000 0.0000 0.3259 x2
Pu 0.5000 0.1205 0.7036 x4
Ir 0.0000 0.0000 0.5625 x2
Ir 0.5000 0.1706 0.0732 x4

Most intense lines, 2θ = 10–80°, sorted by position:
- 31.22 deg, I 43
- 31.46 deg, I 75
- 34.49 deg, I 100
- 34.78 deg, I 44
- 37.82 deg, I 22
- 38.16 deg, I 23
- 38.36 deg, I 27
- 38.69 deg, I 60
- 42.69 deg, I 23
- 43.23 deg, I 50
- 55.63 deg, I 19
- 59.43 deg, I 19

# 2
Starting from a DFT-relaxed cell (GGA-PBE, Alexandria), the PXRD pattern of DyPuZnIr was simulated for CuKα.
Lines closer than 0.1° are merged.

Structural model:
Cell: 6.9689 6.9689 6.9689 Å, 90.00 90.00 90.00°
Space group F-43m (No. 216)
Inequivalent atoms, fractional coordinates:
Dy 0.0000 0.0000 0.0000 x4
Pu 0.0000 0.0000 0.5000 x4
Zn 0.2500 0.2500 0.7500 x4
Ir 0.2500 0.2500 0.2500 x4

Most intense lines, 2θ = 10–80°, sorted by position:
- 22.09 deg, I 10
- 25.56 deg, I 5
- 36.47 deg, I 100
- 43.05 deg, I 6
- 45.07 deg, I 2
- 52.53 deg, I 18
- 57.66 deg, I 3
- 59.30 deg, I 2
- 65.63 deg, I 37
- 70.17 deg, I 2
- 77.48 deg, I 11
........

Our next science and social studies units will be happening simultaneously.  In science, we will be starting our Land and Water unit and in social studies, we will be learning about the regions of the United States.  

Upcoming Dates:

Recorder Concert- Our 4th grade recorder concert is TOMORROW, February 19th from 7:00-7:30. Students should come down to the classroom at 6:45, no earlier.  They should bring ONLY their recorders with them. I will walk them down to the concert and then they will meet their adult after the concert.  Students will NOT be coming back to the classroom after the concert.

Conferences - Trimester 2 conferences will be on Monday and Tuesday March 4th and 5th. Mrs. Burke sent out information about conference sign ups in her newsletter last Friday.  Please email me with any conference related questions.

MBS Yearbook- Yearbooks are available to order until Feb. 22nd using the following link-

(Data records, kept here for reference)
********
Record 1
For NaCaNb, a DFT-relaxed cell (GGA-PBE, Alexandria) gives the calculated XRD peak list in this record (Cu Ka).

Top 10 peaks for 5° ≤ 2θ ≤ 70°, low angle first:
d [Å]	I/Imax	index
14.312	100	0 0 1
7.156	11	0 0 2
2.861	17	0 0 5
2.528	21	1 1 0
2.489	7	1 1 1
2.234	7	1 0 5
1.894	4	1 1 5
1.787	4	2 0 0
1.516	5	2 1 3
1.459	4	2 1 4

a b c (Å): 3.5738 3.5738 14.3120
angles (deg): 90.00 90.00 90.00
Space group P4/nmm (No. 129, origin choice 2)
One atom of each set of equivalent atoms:
Na (0.2500, 0.2500, 0.0999) (multiplicity 2)
Ca (0.2500, 0.2500, 0.6924) (multiplicity 2)
Nb (0.2500, 0.2500, 0.4634) (multiplicity 2)

=====

Record 2
For RbNaCa2Nb4O13, a DFT-relaxed cell (GGA-PBE, Alexandria) gives the calculated XRD peak list in this record (Cu Ka).

Top 10 peaks for 5° ≤ 2θ ≤ 70°, low angle first:
d [Å]	I/Imax	index
3.980	49	1 0 0
3.854	41	0 0 5
3.383	37	1 0 3
3.068	100	1 0 4
2.814	72	1 1 0
2.769	29	1 0 5
1.990	56	2 0 0
1.886	22	1 0 9
1.768	17	2 0 5
1.669	32	2 1 4

a b c (Å): 3.9796 3.9796 19.2719
angles (deg): 90.00 90.00 90.00
Space group P4/mmm (No. 123)
One atom of each set of equivalent atoms:
Rb (0.0000, 0.0000, 0.0000) (multiplicity 1)
Na (0.0000, 0.0000, 0.5000) (multiplicity 1)
Ca (0.0000, 0.0000, 0.2784) (multiplicity 2)
Nb (0.5000, 0.5000, 0.1737) (multiplicity 2)
Nb (0.5000, 0.5000, 0.3946) (multiplicity 2)
O (0.0000, 0.5000, 0.1959) (multiplicity 4)
O (0.0000, 0.5000, 0.3938) (multiplicity 4)
O (0.5000, 0.5000, 0.0803) (multiplicity 2)
O (0.5000, 0.5000, 0.2933) (multiplicity 2)
O (0.5000, 0.5000, 0.5000) (multiplicity 1)

=====

Record 3
For NaCaNbSnO6, a DFT-relaxed cell (GGA-PBE, Alexandria) gives the calculated XRD peak list in this record (Cu Ka).

Top 10 peaks for 5° ≤ 2θ ≤ 70°, low angle first:
d [Å]	I/Imax	index
4.663	3	1 1 1
4.039	66	2 0 0
2.856	100	2 2 0
2.435	2	3 1 1
2.332	2	2 2 2
2.019	41	4 0 0
1.806	28	4 2 0
1.649	40	4 2 2
1.428	24	4 4 0
1.346	13	6 0 0

a b c (Å): 8.0774 8.0774 8.0774
angles (deg): 90.00 90.00 90.00
Space group F-43m (No. 216)
One atom of each set of equivalent atoms:
Na (0.0000, 0.0000, 0.0000) (multiplicity 4)
Ca (0.0000, 0.0000, 0.5000) (multiplicity 4)
Nb (0.2500, 0.2500, 0.2500) (multiplicity 4)
Sn (0.2500, 0.2500, 0.7500) (multiplicity 4)
O (0.0033, 0.2500, 0.2500) (multiplicity 24)

=====

Record 4
For NaCaNd, a DFT-relaxed cell (GGA-PBE, Alexandria) gives the calculated XRD peak list in this record (Cu Ka).

Top 10 peaks for 5° ≤ 2θ ≤ 70°, low angle first:
d [Å]	I/Imax	index
16.449	100	0 0 1
8.224	6	0 0 2
3.386	9	1 0 2
3.076	37	1 0 3
2.757	9	1 0 4
2.741	6	0 0 6
2.627	12	1 1 0
2.594	6	1 1 1
1.897	8	1 1 6
1.590	10	2 1 3

a b c (Å): 3.7157 3.7157 16.4489
angles (deg): 90.00 90.00 90.00
Space group P4/nmm (No. 129, origin choice 2)
One atom of each set of equivalent atoms:
Na (0.2500, 0.2500, 0.0815) (multiplicity 2)
Ca (0.2500, 0.2500, 0.7451) (multiplicity 2)
Nd (0.2500, 0.2500, 0.4251) (multiplicity 2)

=====

Record 5
********

February Break- There will be no school for students from February 25th-March 5th. School will start up again on Wednesday, March 6th.

Passion Projects- Please look in Friday folders for a yellow piece of paper explaining our upcoming passion projects.

Inservice Day- Save the date! There will be no school for students on Friday, March 22nd due to teacher inservice.

Have a great rest of your week and a restful vacation. See you all in March!

Mrs. Carney
